GET REAL!!!!!!!!


Siggy, I'm sure all of us here share your dedication to the protection of yourself and your families life and well being using just one of the tools we have to do that (guns). However, I cring to think of how the above could be used out of context by any anti lurkers.

Gunslinger TFL Imperial Potentate

TFL End of Summer Meet, August 12th & 13th, 2000


New member
A little goes a long way here on the Net.
Some things are best left to ourselves, even if they are true...
just my $.01/2

...defend the 2nd., it protects us all.
No fate but what we make...


New member
Siggy, you're supposed to grind the coffee beans, not eat them...


NRA? Good. Now join the GOA!


New member
Did we get up on the wrong side of the bed this morning? :eek:

We preserve our freedoms by using four boxes: soap,ballot,jury, and cartridge.


New member
That's damn sure a better deterent to criminals then the "it's not your fault you dear sweet murder rapist type, it's that unresolved psychological conflict forcing you to do it" policy that most anti's support.


New member

If, God forbid, you did really have to shoot someone in self defence, the statement above could be used to convict you of murder. Since you live in the PRK, the liberals there would probably pull out all the stops to make you look like you wanted to kill someone. This would not only be terrible for you, but would make all gun owners look bad. We have plenty of anti's trying to make us look like a bunch of lunatics, we don't need to help them. No flame intended, just something I hope you will think about.


"There are people who do not mind the fact that O.J. Simpson walks free. There are people who do not mind the fact that Lon Horiuchi is not only not punished for his atrocity at Ruby Ridge, but he continues on the public payroll. There are those who know who killed Vince Foster, but are not bothered by the fact that the subject has been dropped officially. I mind those things. Do you?" - Jeff Cooper

Gary H

New member
Point being that you want to help and protect yourself and your family. That happens on many different levels. One very important level is on making sure that should you ever have to legitimately protects your own, that statements such as the above can not be brought against you. I doubt that someone will ever dig this statement out of the electronic debris, but what you say to friends and associates will be brought up against you. You behind bars is not a good outcome. Granted, better than someone close to you ending up dead, but better that you do what you are forced to do and that you remain free to spend your days with your family.


Staff Emeritus

I strongly suggest *you* “Get Real”.

What you describe is murder.

If you, your family and/or anyone in your care are suddenly put in fear of
*immediate* serious bodily injury or death by another person or persons,
many states have laws which permit you to use force or deadly force to
protect yourself, your family, frequently other innocent persons, and
sometimes (rarely) even property.

If and when such a threat is stopped and/or neutralized, you are not
permitted to execute your attacker.

Even if you are not arrested, indicted, or tried for a criminal offense, you are
still subject to civil suits. Even if you are 100% in the right, the criminal and
civil proceedings can cost you your reputation, your job, your home and other
property. The cost of defense can destroy a common man. The stress can
destroy relationships among your friends and (worse) even among your

Please, for the *get real* safety of your family, take a proper course of
instruction in firearms safety and the *legal* use of force and deadly force.
Obey the law.

Over-reacting can leave your family financially destitute and without *any*
protection while you serve a prison sentence as the “girl friend” of Tonga the

**Between two parts of the text: crystal structures**
-- begin --
Calculated XRD peak list
Compound: CeErOsPt
Radiation: λ = 1.5418 Å (Cu Kα)
Structure: a crystal structure in Alexandria, relaxed with PBE

Principal peaks in the range 2θ from 10° to 90°, sorted by position:
25.7 deg, intensity 1
36.6 deg, intensity 100
52.7 deg, intensity 18
59.6 deg, intensity 1
65.9 deg, intensity 36
77.8 deg, intensity 11
89.2 deg, intensity 17

a b c (Å): 6.9416 6.9416 6.9416
angles (deg): 90.00 90.00 90.00
Atoms (fractional coordinates):
Ce 0.0000 0.0000 0.0000
Ce 0.0000 0.5000 0.5000
Ce 0.5000 0.0000 0.5000
Ce 0.5000 0.5000 0.0000
Er 0.0000 0.0000 0.5000
Er 0.0000 0.5000 0.0000
Er 0.5000 0.0000 0.0000
Er 0.5000 0.5000 0.5000
Os 0.2500 0.2500 0.2500
Os 0.2500 0.7500 0.7500
Os 0.7500 0.2500 0.7500
Os 0.7500 0.7500 0.2500
Pt 0.2500 0.2500 0.7500
Pt 0.2500 0.7500 0.2500
Pt 0.7500 0.2500 0.2500
Pt 0.7500 0.7500 0.7500

=====

Calculated XRD peak list
Compound: Ta4RuRh5
Radiation: λ = 1.5418 Å (Cu Kα)
Structure: a crystal structure in Alexandria, relaxed with PBE

Principal peaks in the range 2θ from 10° to 90°, sorted by position:
39.0 deg, intensity 52
39.2 deg, intensity 50
39.6 deg, intensity 100
44.3 deg, intensity 35
44.7 deg, intensity 33
48.2 deg, intensity 29
64.9 deg, intensity 11
67.7 deg, intensity 10
78.3 deg, intensity 17
79.2 deg, intensity 11

a b c (Å): 4.7661 5.5802 6.4223
angles (deg): 75.77 73.86 76.76
Atoms (fractional coordinates):
Ta 0.1348 0.3755 0.3090
Ta 0.3103 0.1901 0.8701
Ta 0.6897 0.8099 0.1299
Ta 0.8652 0.6245 0.6910
Ru 0.5000 0.5000 0.5000
Rh 0.1059 0.9029 0.2908
Rh 0.2777 0.6855 0.9090
Rh 0.5000 0.0000 0.5000
Rh 0.7223 0.3145 0.0910
Rh 0.8941 0.0971 0.7092

=====

Calculated XRD peak list
Compound: ZrCd2TeO6
Radiation: λ = 1.5418 Å (Cu Kα)
Structure: a crystal structure in Alexandria, relaxed with PBE

Principal peaks in the range 2θ from 10° to 90°, sorted by position:
17.9 deg, intensity 40
28.3 deg, intensity 100
31.1 deg, intensity 51
36.1 deg, intensity 10
42.6 deg, intensity 34
44.5 deg, intensity 32
48.4 deg, intensity 24
53.6 deg, intensity 33
63.3 deg, intensity 20
65.0 deg, intensity 11

a b c (Å): 5.7574 5.7574 4.9666
angles (deg): 90.00 90.00 90.00
Atoms (fractional coordinates):
Zr 0.0000 0.0000 0.0000
Cd 0.0000 0.5000 0.3842
Cd 0.5000 0.0000 0.3842
Te 0.5000 0.5000 0.0746
O 0.0000 0.0000 0.6130
O 0.2453 0.2453 0.1353
O 0.2453 0.7547 0.1353
O 0.5000 0.5000 0.4648
O 0.7547 0.2453 0.1353
O 0.7547 0.7547 0.1353

=====

Calculated XRD peak list
Compound: Sc11Ga9
Radiation: λ = 1.5418 Å (Cu Kα)
Structure: a crystal structure in Alexandria, relaxed with PBE

Principal peaks in the range 2θ from 10° to 90°, sorted by position:
26.6 deg, intensity 18
34.8 deg, intensity 30
35.2 deg, intensity 61
35.6 deg, intensity 29
35.8 deg, intensity 29
36.8 deg, intensity 100
37.0 deg, intensity 31
37.6 deg, intensity 33
39.7 deg, intensity 36
44.3 deg, intensity 18

a b c (Å): 10.6945 10.3469 10.3407
angles (deg): 62.26 58.90 58.84
Atoms (fractional coordinates):
Sc 0.0735 0.5633 0.7004
-- stop --

Avoidance of potential violence is still the best option.
Non-violent resolutions are next best (even if you appear to be a wimp).
Force, especially deadly force, is the last, final, and worst resolution to *any*

And *that*, sir, is common sense.


New member
Check the caps lock Bubba. We get your point without shouting. No flame intended just that all caps are kinda hard on the eyes. :)

Matt VDW

New member
Now I'm thinking about harming the monkeys. ;)



George Hill

Staff Alumnus
Sorry guys... I deleted that first post because I feel that it possed a gross negative impact to TFL.

Dennis - I see you got here first - and I am sorry if I stepped on your toes as you saw this and left that post up...
But I could not in good conscience leave that crap there.

Siggy, check your Email.

You might laugh in the face of FEAR... but unless your armed, its a nervous, unconvincing, little laugh.


New member
BG beating at my door - I grab gun and collect family in back room - I yell from other side of room "MOVE AWAY FROM THE DOOR M*TH*R F*CK*R, I HAVE A GUN POINTED AT THE DOOR AND WILL FIRE WHEN YOU ENTER" - BG opens door - I fire until threat is no longer apparent(BG on floor or out door) - Police arrive and collect BG in whatever condition he is in.

I DO NOT have athorization to use lethal force for unsubstantiated threats or BG "thinking" about harming myself or mine. If you do as you say against a BG incapacitated on the floor, you are a CRIMINAL in need of PROCECUTION at that point. I agree that I would rather have a BG dead than injured, but I will not murder anyone simply because they are bad. That is NOT my job, and besides that, it is illegal and morally wrong.


Sig 229 .40 - When you care enough to shoot the very best!

James E

Damn it...what did I miss...missed Siggy's post, I'm always an hour late and a dollar short. S.O.B. Not blaiming you Geo, we sometime get too long in the flame.


New member
Lord forgive me! Yes I get a little hot headed in my posts, but, I feel my first ammendmant rights are just as important as my second. I PROMISE (CAP LOCKS INSTEAD OF SHIFT...OOOPS!!!!) to tone it doownn from this point on to keep the anti's who may use this as "case in point" material against truue believers in the second ammendmant. I will say 3 hail mary's and 5 our fathers as an act of atonement for my transgressions.


New member

And after the Hail Mary's, you must read the Bill of Rights three times out loud. :D

"Carry" on


I prefer armed combat to unarmed combat. It's easier on the knuckles.


Just a quick comment Siggy. Your First Amendment Rights only apply here as long as The Admins want them to. THis isn't a flame but the fact of the matter is that this is a privatly owned board. If they don't want a post here or for a person to post here then they can Delete the post or the account. It is like someone coming into your house around your kids. This person starts Cussing and calling people names. Or yalling bout how he is going to kill someone. Well I can't speak for anyone else but that person would find thier @ss out on the side of the road if it was my home. Take a look over at it ever comes back up) and see what happens when the moderators don't edit or delete posts that could cause trouble. I started on that board and love it over there but there are some people who just don't get it. But thankfully the Mods are starting to crack down. I hope soon it will be back in order.
Actually, all, there are NO First Amendment rights that apply here. None.

Last time I looked, The Firing Line wasn't listed as a Federal Agency. The First Amendment only limits the Federal Government's ability to pass/enforce laws that would abridge your rights to free speech.

If, however, the Federal Government passed a law saying that no one could talk about firearms on computer chatboard, THAT would be a whole different ballgame.

Simply put, the Firing Line is a private commercial venture, and EVERYTHING we post here is at the discression (sp?) and pleasure of George, Dennis, and the rest of the moderators.

I used to get comments like this all the time when I was a moderator over on Compuserve's (now defunct) Firearms Forum.

My reply? "If you're going to invoke the Constitution, please understand it." :D

<<<
Starting from a GGA+U-relaxed structure, the powder diffractogram of Mg2MnNb2O8 was calculated for copper Kα.
Peak positions follow from Bragg's law for the DFT cell and can differ from measured ones.

Main lines, in order of rising 2θ (2θ from 15° to 90°):
2θ (°)	d_spacing	I_rel	hkl
20.03	4.433	30	3 1 0
22.93	3.878	37	1 1 -1
26.37	3.379	87	3 1 1
27.19	3.280	35	5 1 0
32.23	2.778	100	5 1 -1
34.20	2.622	42	0 2 1
34.34	2.612	28	0 0 2
38.98	2.310	23	4 2 -1
51.18	1.785	66	8 0 -2
61.41	1.510	23	0 2 3

Crystal structure
a = 19.4972 Å, b = 6.0629 Å, c = 5.2230 Å
α = 90.00°, β = 90.19°, γ = 90.00°
Space group C2/c (No. 15)
Unique sites:
Mg (0.2294, 0.1406, 0.2531) (multiplicity 8)
Mn (0.0000, 0.1638, 0.2500) (multiplicity 4)
Nb (0.1181, 0.3301, 0.7590) (multiplicity 8)
O (0.0606, 0.1253, 0.9075) (multiplicity 8)
O (0.0734, 0.3933, 0.4261) (multiplicity 8)
O (0.1888, 0.3938, 0.0429) (multiplicity 8)
O (0.1919, 0.1451, 0.6153) (multiplicity 8)

----------

Calculated PXRD pattern
Compound: NpHS2
Radiation: a wavelength of 1.5418 Å
Structure: DFT lattice parameters and positions (PBE)

Structural model:
a = 5.3507 Å, b = 3.7618 Å, c = 6.8865 Å
α = 90.00°, β = 109.51°, γ = 90.00°
Space group P2_1/m (No. 11)
Symmetry-distinct sites (fractional):
1 Np 0.1378 0.2500 0.2821 x2
2 H 0.0605 0.2500 0.7561 x2
3 S 0.2747 0.7500 0.0642 x2
4 S 0.2966 0.7500 0.5860 x2

Peak list (6 most intense, 10 to 80 degrees two-theta, by angle)
hkl 1 0 0, d = 5.043 Å, 2θ 17.59, rel. 39; hkl 1 0 -1, d = 4.843 Å, 2θ 18.32, rel. 39; hkl 1 0 1, d = 3.462 Å, 2θ 25.74, rel. 33; hkl 0 1 1, d = 3.253 Å, 2θ 27.42, rel. 100; hkl 1 1 -1, d = 2.971 Å, 2θ 30.08, rel. 38; hkl 2 1 0, d = 2.095 Å, 2θ 43.19, rel. 29

=====

Calculated PXRD pattern
Compound: NpTl2HS4
Radiation: a wavelength of 1.5418 Å
Structure: DFT lattice parameters and positions (PBE)

Structural model:
a = 6.9231 Å, b = 3.8297 Å, c = 7.8455 Å
α = 90.00°, β = 110.73°, γ = 90.00°
Space group P2/m (No. 10)
Symmetry-distinct sites (fractional):
1 Np 0.0000 0.0000 0.0000 x1
2 Tl 0.0000 0.5000 0.5000 x1
3 Tl 0.5000 0.0000 0.5000 x1
4 H 0.5000 0.5000 0.0000 x1
5 S 0.2050 0.5000 0.2144 x2
6 S 0.2754 0.0000 0.8489 x2
>>>

(Sorry for jumping in, George. Please feel free to violate my rights at will. :D )